Stalker - Clarissa Wild Page 0,96

camp out with you.”

Phoenix leans back. “What?” He cocks his head. “Are you saying he was here for a reason? You know something, don’t you?” Phoenix growls.

The guy holds up his hands. “You know I can’t do anything about the rules, dude. It was just a job.”

“What?” Phoenix yells. “You’d better fucking tell me the truth now, DeLuca, or I’ll rip your fucking head off, too.”

“Nix, think about what you’re doing. You know you can’t win from me.”

Phoenix stands in front of him so close they’re up in each other’s face, shouting. “Watch me.”

“Fuck you,” DeLuca says. “Look, I’m sorry we got you into this mess.”

“Damn right, it’s your fault. You brought him here in the first place.”

“He was supposed to help me with this job.”

“What job?” Phoenix sneers.

He glances at me, and suddenly I feel very exposed. “Killing her.”

An itch goes through my body, circling around until goosebumps cover my skin. The mask that I’ve worn all these years has been shattered as despair slips through my pores, covering my body with dirty sweat.

I suddenly get the urge to jump into the shower to wash the jitters off.

“YOU CAME HERE TO KILL HER?” Phoenix’s voice is off the charts loud.

“Dude, calm down,” DeLuca says.

“I AM NOT CALMING DOWN!” Phoenix is breathing like a bull again, and I have no clue what to do. Should I go there and try to help? I don’t know the guy, or the other one … but something about the anger in Phoenix’s voice tells me this DeLuca guy actually means something to him. Which says a lot.

“She’s on your fucking hit list? That’s why you came here?” Phoenix yells.

“We got the job; I can’t help it. I didn’t know she was the girl from your story until I saw the house, and by then, I knew it was too late. Drago had already gone over the fence. I couldn’t stop him.”

# Unrelated to this entry: materials data
- - -
A relaxed BaHg11 crystal. Source: Materials Project, functional PBE.

abc: 10.1579 10.1579 10.1579
angles: 90.00 90.00 90.00
Last column: nearest neighbours and their distance in Å.
Space group Pm-3m (No. 221)
Asymmetric unit:
1 Ba 0.0000 0.0000 0.5000  20 Hg 3.82-4.15
2 Hg 0.0000 0.3442 0.3442  8 Hg 3.16-3.23
3 Hg 0.1528 0.1528 0.1528  6 Hg 3.10-3.16
4 Hg 0.2660 0.2660 0.5000  9 Hg 3.23-3.36
5 Hg 0.5000 0.5000 0.5000  12 Hg 3.36

Computed properties:
**Uncorrected energy**: -0.58 eV per atom
**DFT formation energy**: -0.14 eV/atom

A relaxed Ba2Hg crystal. Source: Materials Project, functional PBE.

abc: 4.2678 4.2678 15.2627
angles: 90.00 90.00 90.00
Last column: nearest neighbours and their distance in Å.
Space group I4/mmm (No. 139)
Asymmetric unit:
1 Ba 0.0000 0.0000 0.1305  4 Hg 3.62, 1 Ba 3.98
2 Hg 0.0000 0.0000 0.5000  8 Ba 3.62

Computed properties:
**Uncorrected energy**: -1.76 eV per atom
**DFT formation energy**: -0.38 eV/atom

A relaxed Ba2InHg crystal. Source: Materials Project, functional PBE.

abc: 8.5258 8.5258 8.5258
angles: 90.00 90.00 90.00
Last column: nearest neighbours and their distance in Å.
Space group Fm-3m (No. 225)
Asymmetric unit:
1 Ba 0.2500 0.2500 0.2500  4 In 3.69, 4 Hg 3.69
2 In 0.0000 0.0000 0.0000  8 Ba 3.69
3 Hg 0.0000 0.0000 0.5000  8 Ba 3.69

Computed properties:
**Uncorrected energy**: -2.19 eV per atom
**DFT formation energy**: -0.47 eV/atom

A relaxed BaHgRuO5 crystal. Source: Materials Project, functional PBE.

abc: 10.3659 10.3659 8.6207
angles: 90.00 90.00 120.00
Last column: nearest neighbours and their distance in Å.
Space group P6_3/m (No. 176)
Asymmetric unit:
1 Ba 0.0000 0.0000 0.0000  6 O 2.86
2 Ba 0.3333 0.6667 0.0166  9 O 2.78-2.96
3 Hg 0.0128 0.6795 0.7500  2 O 2.06
4 Ru 0.0126 0.6703 0.2500  3 O 1.79-1.80
5 O 0.0908 0.2082 0.7500  1 Ru 2.02, 1 Hg 2.06
6 O 0.1079 0.7570 0.0737  1 Ru 1.79
7 O 0.1197 0.5491 0.2500  1 Ru 2.05, 1 Hg 2.06
8 O 0.1636 0.5003 0.7500  1 Ru 1.80

Computed properties:
**Uncorrected energy**: -5.85 eV per atom
**DFT formation energy**: -1.74 eV/atom

A relaxed Ba2HgPb crystal. Source: Materials Project, functional PBE.

abc: 8.5827 8.5827 8.5827
angles: 90.00 90.00 90.00
Last column: nearest neighbours and their distance in Å.
Space group Fm-3m (No. 225)
Asymmetric unit:
1 Ba 0.2500 0.2500 0.2500  4 Pb 3.72, 4 Hg 3.72
2 Hg 0.0000 0.0000 0.0000  8 Ba 3.72
3 Pb 0.0000 0.0000 0.5000  8 Ba 3.72

Computed properties:
**Uncorrected energy**: -2.56 eV per atom
**DFT formation energy**: -0.59 eV/atom

A relaxed BaHgPb crystal. Source: Materials Project, functional PBE.

abc: 12.3255 5.4656 8.5946
angles: 90.00 133.95 90.00
Last column: nearest neighbours and their distance in Å.
Space group C2/m (No. 12)
Asymmetric unit:
1 Ba 0.0352 0.0000 0.2865  6 Hg 3.65-3.92, 6 Pb 3.66-3.98
2 Hg 0.1607 0.5000 0.7116  1 Hg 2.99, 2 Pb 3.14
3 Pb 0.1646 0.5000 0.1069  1 Pb 3.08, 3 Hg 3.14-3.36

Computed properties:
**Uncorrected energy**: -2.48 eV per atom
**DFT formation energy**: -0.50 eV/atom
- - -
# The materials data stop here

“And you fucking went along with it without telling me?” Phoenix pushes him until he’s up against the wall.

“What else was I supposed to do?” DeLuca says. “I had to do it. They wouldn’t accept me back in if I didn’t complete the job.”

“Who gives a shit about the organization?! She’s mine, and I told you that I was going to do this alone!” Phoenix screams, grabbing his collar and shoving him up the wall.

**Unrelated to this page: calculated crystals**
<<<
Below is a relaxed structure of Li3MnFeCoP3O12, with properties calculated at the PBE+U level.

Relative energy among the computed polymorphs, meV per atom: 13
Crystal system: monoclinic
Formation energy, eV per atom: -2.481

Unit cell a=10.4562 b=6.0852 c=14.2881 alpha=90.00 beta=90.09 gamma=90.00
Last column: nearest neighbours and their distance in Å.
Space group Pm (No. 6)
Symmetry-distinct sites (fractional):
Li: 0.0000 0.2492 0.0000 (multiplicity 2)  6 O 2.10-2.23
Li: 0.0003 0.2498 0.3324 (multiplicity 2)  6 O 2.11-2.22
Li: 0.4963 0.2508 0.1659 (multiplicity 2)  6 O 2.10-2.21
Li: 0.4974 0.2495 0.4999 (multiplicity 2)  6 O 2.11-2.21
Li: 0.4973 0.2503 0.8334 (multiplicity 2)  6 O 2.10-2.22
Li: 0.9994 0.2498 0.6665 (multiplicity 2)  6 O 2.11-2.21
Mn: 0.7171 0.0000 0.0064 (multiplicity 1)  6 O 2.13-2.29
Mn: 0.7174 0.0000 0.3396 (multiplicity 1)  6 O 2.14-2.27
Mn: 0.7795 0.5000 0.1729 (multiplicity 1)  6 O 2.13-2.27
Mn: 0.7789 0.5000 0.5069 (multiplicity 1)  6 O 2.13-2.27
Fe: 0.2183 0.0000 0.4916 (multiplicity 1)  6 O 2.10-2.27
Fe: 0.2182 0.0000 0.8246 (multiplicity 1)  6 O 2.10-2.27
Fe: 0.7173 0.0000 0.6737 (multiplicity 1)  6 O 2.11-2.26
Fe: 0.7797 0.5000 0.8408 (multiplicity 1)  6 O 2.09-2.27
Co: 0.2224 0.0000 0.1585 (multiplicity 1)  6 O 2.10-2.22
Co: 0.2756 0.5000 0.9930 (multiplicity 1)  6 O 2.11-2.23
Co: 0.2782 0.5000 0.3272 (multiplicity 1)  6 O 2.09-2.23
Co: 0.2804 0.5000 0.6603 (multiplicity 1)  6 O 2.10-2.24
P: 0.0943 0.5000 0.8055 (multiplicity 1)  4 O 1.54-1.57
P: 0.0948 0.5000 0.4725 (multiplicity 1)  4 O 1.54-1.57
P: 0.0955 0.5000 0.1392 (multiplicity 1)  4 O 1.54-1.58
P: 0.4018 0.0000 0.3047 (multiplicity 1)  4 O 1.53-1.58
P: 0.4020 0.0000 0.9719 (multiplicity 1)  4 O 1.54-1.57
P: 0.4028 0.0000 0.6390 (multiplicity 1)  4 O 1.54-1.58
P: 0.5882 0.5000 0.3609 (multiplicity 1)  4 O 1.54-1.57
P: 0.5893 0.5000 0.0265 (multiplicity 1)  4 O 1.54-1.57
P: 0.5910 0.5000 0.6945 (multiplicity 1)  4 O 1.53-1.57
P: 0.9063 0.0000 0.5287 (multiplicity 1)  4 O 1.54-1.57
P: 0.9059 0.0000 0.8593 (multiplicity 1)  4 O 1.54-1.57
P: 0.9087 0.0000 0.1940 (multiplicity 1)  4 O 1.54-1.57
O: 0.0429 0.0000 0.9017 (multiplicity 1)  1 P 1.55
O: 0.0442 0.0000 0.5692 (multiplicity 1)  1 P 1.55
O: 0.0467 0.0000 0.2345 (multiplicity 1)  1 P 1.55
O: 0.0974 0.5000 0.2467 (multiplicity 1)  1 P 1.54
O: 0.0972 0.5000 0.5800 (multiplicity 1)  1 P 1.54
O: 0.0977 0.5000 0.9133 (multiplicity 1)  1 P 1.54
O: 0.1653 0.2979 0.7606 (multiplicity 2)  1 P 1.57
O: 0.1660 0.2962 0.0947 (multiplicity 2)  1 P 1.58
O: 0.1658 0.2978 0.4275 (multiplicity 2)  1 P 1.57
O: 0.3308 0.2041 0.2603 (multiplicity 2)  1 P 1.58
O: 0.3323 0.2043 0.5947 (multiplicity 2)  1 P 1.58
O: 0.3320 0.2045 0.9282 (multiplicity 2)  1 P 1.57
O: 0.4003 0.0000 0.0798 (multiplicity 1)  1 P 1.54
O: 0.4012 0.0000 0.4121 (multiplicity 1)  1 P 1.53
O: 0.4017 0.0000 0.7466 (multiplicity 1)  1 P 1.54
O: 0.4502 0.5000 0.4015 (multiplicity 1)  1 P 1.56
O: 0.4511 0.5000 0.0664 (multiplicity 1)  1 P 1.55
>>>
**The page goes on**

“You said you were going to kill her. I thought she was already dead, dude. I didn’t think we even had a chance of success.”

“So, what, you thought it was okay to let that fucker just roam the house? You knew he was going to search for her. You fucking knew he wanted to kill her, and you let him get away. You fucking let him do your dirty work for you.”

“It’s not like that. I honestly didn’t think she’d still be alive,” he says, swallowing, holding up his hands. “I mean it. It’s the truth. I know you, Nix. You wouldn’t keep any victim alive. Ever.”

“Except me,” I mutter.

Both of them now look at me as if I’m a complete loon. I blush, but not because they stare at me … it’s because he said Phoenix always kills his victims, and yet he didn’t kill me.


Phoenix immediately returns his attention toward DeLuca. “I trusted you. You’ve got some fucking balls, dude.”

“I swear to fucking god, I didn’t mean to intrude. I just wanted to confirm her death with you so we could relay it to the organization and get it over with. I expected the job to be cancelled, so we could get another one.”

“And yet you forget to bring up that fact the moment you appear at the front doorstep,” Phoenix says. “I fucking trusted you; I took you with me, and this is how you repay me?”

These materials data were left in the text by mistake
=====
1.
DFT (PBE-GGA) results for an optimized crystal structure of Sr2CuF6.

Cell lengths 8.7873, 8.7873, 5.8049 Å; angles 90.00, 90.00, 141.42 degrees
Atoms (fractional coordinates):
Sr (0.6617, 0.3383, 0.5000)
Sr (0.1617, 0.8383, 0.0000)
Sr (0.8383, 0.1617, 0.0000)
Sr (0.3383, 0.6617, 0.5000)
Cu (0.0000, 0.0000, 0.5000)
Cu (0.5000, 0.5000, 0.0000)
F (0.0851, 0.2469, 0.3330)
F (0.5050, 0.0050, 0.2500)
F (0.9950, 0.4950, 0.7500)
F (0.9149, 0.7531, 0.6670)
F (0.4950, 0.9950, 0.7500)
F (0.7531, 0.9149, 0.6670)
F (0.4149, 0.2531, 0.8330)
F (0.2531, 0.4149, 0.8330)
F (0.0050, 0.5050, 0.2500)
F (0.7469, 0.5851, 0.1670)
F (0.5851, 0.7469, 0.1670)
F (0.2469, 0.0851, 0.3330)

Results
- SG: Cmce
- Total energy after the MP2020 corrections: -5.551 eV/atom
- Distance to the lowest polymorph of the same formula: 0.000 eV/atom

2.
DFT (PBE-GGA) results for an optimized crystal structure of RuBr3.

Cell lengths 5.9392, 7.0608, 7.0608 Å; angles 60.00, 90.00, 90.00 degrees
Atoms (fractional coordinates):
Ru (0.5000, 0.0000, 0.0000)
Ru (0.0000, 0.0000, 0.0000)
Br (0.2500, 0.7121, 0.2879)
Br (0.7500, 0.0000, 0.2879)
Br (0.7500, 0.2879, 0.7121)
Br (0.2500, 0.0000, 0.7121)
Br (0.2500, 0.2879, 0.0000)
Br (0.7500, 0.7121, 0.0000)

Results
- SG: P6_3/mcm
- Total energy after the MP2020 corrections: -4.270 eV/atom

3.
DFT (PBE-GGA) results for an optimized crystal structure of Rb2Bi4O7.

Cell lengths 12.4948, 12.4948, 15.8122 Å; angles 86.33, 86.33, 63.07 degrees
Atoms (fractional coordinates):
Rb (0.5393, 0.6284, 0.2891)
Rb (0.6286, 0.0217, 0.7918)
Rb (0.3716, 0.4607, 0.2109)
Rb (0.1267, 0.5463, 0.7902)
Rb (0.6284, 0.5393, 0.7891)
Rb (0.3714, 0.9783, 0.2082)
Rb (0.5463, 0.1267, 0.2902)
Rb (0.9679, 0.8724, 0.7093)
Rb (0.4607, 0.3716, 0.7109)
Rb (0.9783, 0.3714, 0.7082)
Rb (0.1276, 0.0321, 0.7907)
Rb (0.8733, 0.4537, 0.2098)
Rb (0.8724, 0.9679, 0.2093)
Rb (0.0321, 0.1276, 0.2907)
Rb (0.0217, 0.6286, 0.2918)
Rb (0.4537, 0.8733, 0.7098)
Bi (0.2987, 0.2141, 0.6143)
Bi (0.9569, 0.3981, 0.9612)
Bi (0.2168, 0.2640, 0.3731)
Bi (0.7360, 0.7832, 0.1269)
Bi (0.3951, 0.9101, 0.9579)
Bi (0.8906, 0.9090, 0.9569)
Bi (0.7013, 0.7859, 0.3857)
Bi (0.7846, 0.2431, 0.6211)
Bi (0.7100, 0.2968, 0.1188)
Bi (0.2154, 0.7569, 0.3789)
Bi (0.1094, 0.0910, 0.0431)
Bi (0.2968, 0.7100, 0.6188)
Bi (0.3981, 0.9569, 0.4612)
Bi (0.7569, 0.2154, 0.8789)
Bi (0.4525, 0.3999, 0.9652)
Bi (0.9101, 0.3951, 0.4579)
Bi (0.2141, 0.2987, 0.1143)
Bi (0.2431, 0.7846, 0.1211)
Bi (0.7032, 0.2900, 0.3812)
Bi (0.2900, 0.7032, 0.8812)
Bi (0.5475, 0.6001, 0.0348)
Bi (0.3999, 0.4525, 0.4652)
Bi (0.2640, 0.2168, 0.8731)
Bi (0.6001, 0.5475, 0.5348)
Bi (0.6049, 0.0899, 0.0421)
Bi (0.6019, 0.0431, 0.5388)
Bi (0.7859, 0.7013, 0.8857)
Bi (0.0910, 0.1094, 0.5431)
Bi (0.7832, 0.7360, 0.6269)
Bi (0.0431, 0.6019, 0.0388)
Bi (0.0899, 0.6049, 0.5421)
Bi (0.9090, 0.8906, 0.4569)
O (0.2854, 0.7146, 0.2500)
O (0.9710, 0.6490, 0.6562)
O (0.3510, 0.0290, 0.8438)
O (0.2814, 0.0894, 0.0284)
O (0.2840, 0.2395, 0.2419)
O (0.4169, 0.6148, 0.4676)
=====
The text goes on

“I’m sorry, dude. Really, I am. I know I should’ve acted differently, but I didn’t. We all make mistakes. Again, I’m sorry. It won’t happen again.”

“Damn right, it won’t,” Phoenix growls.

“Phoenix,” I say, stepping forward.

He swallows, glancing back at me. I see the regret in his eyes. I know he doesn’t want to kill his friend. After a few seconds, Phoenix lets him go, and he drops to the floor, grasping for his own throat.

“Get the fuck out,” Phoenix says without looking at him.

“Nix, please, let’s talk about this. It’s all a misunderstanding.”

“I don’t fucking want to talk to you.”


“Get out!” Phoenix screams so loud that it makes DeLuca jolt up, and then run past him.

We briefly exchange looks before Copyright 2016 - 2024